It remains to count the lines underneath that contain the word "Al3" and give the number alone.

┌──
Entry from the Materials Project database: a relaxed structure of MgSi (PBE).

Summary:
energy of formation from the pure elements = 0.031 eV per atom

Cell: 4.3880 5.8693 6.1665 Å, 90.00 108.08 90.00°
With the nearest neighbours (Å) after each atom.
Positions (direct):
Mg1 0.0905 0.2500 0.1338  6 Si 2.81-2.97
Mg2 0.2288 0.7500 0.4348  6 Si 2.76-2.87
Mg3 0.7712 0.2500 0.5652  6 Si 2.76-2.87
Mg4 0.9095 0.7500 0.8662  6 Si 2.81-2.97
Si1 0.3782 0.0455 0.8013  2 Si 2.40-2.41
Si2 0.3782 0.4545 0.8013  2 Si 2.40-2.41
Si3 0.6218 0.5455 0.1987  2 Si 2.40-2.41
Si4 0.6218 0.9545 0.1987  2 Si 2.40-2.41

Entry from the Materials Project database: a relaxed structure of ZnGa2S4 (PBE).

Summary:
energy of formation from the pure elements = -1.010 eV per atom

Cell: 5.2426 5.2426 5.4555 Å, 90.00 90.00 90.00°
With the nearest neighbours (Å) after each atom.
Positions (direct):
Zn1 0.0000 0.0000 0.0000  4 S 2.36
Ga1 0.0000 0.5000 0.5000  4 S 2.32
Ga2 0.5000 0.0000 0.5000  4 S 2.32
S1 0.2622 0.2622 0.2452  2 Ga 2.32, 1 Zn 2.36
S2 0.2622 0.7378 0.7548  2 Ga 2.32, 1 Zn 2.36
S3 0.7378 0.2622 0.7548  2 Ga 2.32, 1 Zn 2.36
S4 0.7378 0.7378 0.2452  2 Ga 2.32, 1 Zn 2.36

Entry from the Materials Project database: a relaxed structure of AlSi2O6 (PBE).

Summary:
energy of formation from the pure elements = -3.013 eV per atom

Cell: 9.5635 9.5791 9.7138 Å, 94.48 95.05 94.63°
With the nearest neighbours (Å) after each atom.
Positions (direct):
Al1 0.0000 0.0000 0.0000  4 O 1.74-1.75
Al2 0.0190 0.7825 0.5524  4 O 1.73-1.76
Al3 0.2393 0.5314 0.2292  4 O 1.74-1.76
Al4 0.4603 0.7683 0.7675  4 O 1.74-1.75
Si1 0.0171 0.3302 0.0077  4 O 1.61-1.64
Si2 0.2304 0.0021 0.7662  4 O 1.61-1.64
Si3 0.2484 0.3278 0.7910  4 O 1.62-1.63
Si4 0.2491 0.5447 0.5582  4 O 1.62-1.64
Si5 0.4642 0.5330 0.9958  4 O 1.61-1.65
Si6 0.7892 0.5548 0.0086  4 O 1.62-1.63
Si7 0.7900 0.7796 0.7840  4 O 1.61-1.64
Si8 0.9966 0.7607 0.2216  4 O 1.61-1.65
O1 0.0184 0.9011 0.1419  1 Si 1.61, 1 Al 1.74
O2 0.1050 0.3322 0.8699  2 Si 1.63-1.64
O3 0.1109 0.6319 0.5567  1 Si 1.62, 1 Al 1.75
O4 0.1182 0.4003 0.1420  1 Si 1.62, 1 Al 1.75
O5 0.1280 0.9274 0.6332  1 Si 1.63, 1 Al 1.76
O6 0.1390 0.6776 0.2255  1 Si 1.63, 1 Al 1.76
O7 0.1458 0.9992 0.9034  1 Si 1.62, 1 Al 1.75
O8 0.2281 0.4114 0.6525  2 Si 1.62-1.64
O9 0.2753 0.4926 0.4009  1 Si 1.62, 1 Al 1.75
O10 0.2757 0.1668 0.7418  2 Si 1.63-1.64
O11 0.3695 0.9183 0.7822  1 Si 1.61, 1 Al 1.74
O12 0.3797 0.6521 0.6298  1 Si 1.62, 1 Al 1.75
O13 0.3848 0.3987 0.8930  2 Si 1.63-1.65
O14 0.3864 0.5500 0.1363  1 Si 1.61, 1 Al 1.74
O15 0.4600 0.6731 0.9137  1 Si 1.61, 1 Al 1.75
O16 0.6289 0.4997 0.0339  2 Si 1.63-1.65
O17 0.6329 0.8126 0.7320  1 Si 1.61, 1 Al 1.74
O18 0.7877 0.6392 0.8701  2 Si 1.62-1.64
O19 0.8629 0.6563 0.1429  2 Si 1.63-1.65
O20 0.8640 0.9129 0.8853  1 Si 1.62, 1 Al 1.75
O21 0.8804 0.7554 0.6536  1 Si 1.61, 1 Al 1.73
O22 0.8822 0.4221 0.9827  2 Si 1.63
O23 0.9627 0.1730 0.0378  1 Si 1.61, 1 Al 1.74
O24 0.9637 0.8005 0.3800  1 Si 1.62, 1 Al 1.74

Entry from the Materials Project database: a relaxed structure of PrTlSe2 (PBE).

Summary:
energy of formation from the pure elements = -1.607 eV per atom

Cell: 8.1575 8.1575 8.1575 Å, 30.97 30.97 30.97°
With the nearest neighbours (Å) after each atom.
Positions (direct):
Pr1 0.0000 0.0000 0.0000  6 Se 3.00
Tl1 0.5000 0.5000 0.5000  6 Se 3.37
Se1 0.2629 0.2629 0.2629  3 Pr 3.00
Se2 0.7371 0.7371 0.7371  3 Pr 3.00

Entry from the Materials Project database: a relaxed structure of MgTi2Si2Ag4O10 (PBE).

Summary:
energy of formation from the pure elements = -2.086 eV per atom

Cell: 6.4608 6.4608 6.3113 Å, 90.00 90.00 90.00°
With the nearest neighbours (Å) after each atom.
Positions (direct):
Mg1 0.0000 0.0000 0.0000  1 O 2.01
Ti1 0.0000 0.0000 0.4014  1 O 1.77
Ti2 0.5000 0.5000 0.4406  1 O 1.73
Si1 0.0000 0.5000 0.3923  4 O 1.64-1.67
Si2 0.5000 0.0000 0.3923  4 O 1.64-1.67
Ag1 0.2825 0.2825 0.8685  4 O 2.54-2.84, 1 Mg 2.71, 2 Ag 2.81
Ag2 0.2825 0.7175 0.8685  4 O 2.54-2.84, 1 Mg 2.71, 2 Ag 2.81
└──

1